Goodmanson Constructions ADA Compliant Asphalt Parking Lots
Pro Tips from the Pros!
It’s really simple: commercial facilities need to provide reasonable public accommodations for people with disabilities. Period. And you can’t provide commercial concrete or asphalt parking lots to businesses all over the Twin Cities without knowing all the ins and outs of ADA Compliance.

So here are a few tips on ADA codes for parking lots from Goodmanson Construction for you to check out, so that when you’re talking with your contractor you know at least some of the basics of what’s right. We’ve been in the business of building ADA Compliant Asphalt and Concrete Parking lots for both Commercial and Industrial applications for decades now, and if there’s one thing we’ve heard is that requirements for accessibility are hard to remember!
Let’s start with just a small bit on parking spaces and how they work with the Americans with Disabilities Act and the Minnesota Accessibility Codes.
We are pulling a lot of this from a free Minnesota Disability Parking Quick Reference. (Which most of us have tattoo’d on us at this point.)
First, how many ADA parking spaces should I have for my Parking Lot?
The answer for the number of accessible parking spaces you should have for your parking lot is dependent on the overall number of spaces you have. Here’s a helpful table that will tell you what you need. This is a great question to ask your contractor before they start striping the parking lot. If they don’t know the answer before they begin, you might want to get a second opinion!
Here are the Minnesota Accessibility Code standards for how many parking spaces you need, which is based on the 2010 ADA Standards (and looks almost identical to it).

~~~
A PBEsol-optimized structure of BaYCd2. Source: the Alexandria database, functional meta-GGA SCAN.

The calculation puts the formation energy at -274 meV per atom. For the offset from the most stable computed form, the calculation gives 136.0 meV/atom. As for the magnetization: 0.00 μB/cell.

Unit cell a=5.528 b=5.528 c=5.528 alpha=60.00 beta=60.00 gamma=60.00
Atoms (fractional coordinates):
Cd (0.250, 0.250, 0.250)
Cd (0.750, 0.750, 0.750)
Ba (0.500, 0.500, 0.500)
Y (0.000, 0.000, 0.000)

***

A PBEsol-optimized structure of BaAlIrI2. Source: the Alexandria database, functional meta-GGA SCAN.

The calculation puts the formation energy (no corrections) at 190.1 meV per atom. As for the magnetization: 0.00 μB/cell.

Unit cell a=5.402 b=5.402 c=5.653 alpha=90.00 beta=90.00 gamma=90.00
Atoms (fractional coordinates):
I (0.500, 0.000, 0.000)
I (0.000, 0.500, 0.000)
Ba (0.000, 0.000, 0.500)
Ir (0.000, 0.000, 0.000)
Al (0.500, 0.500, 0.500)

***

A PBEsol-optimized structure of Sc5As3. Source: the Alexandria database, functional meta-GGA SCAN.

The calculation puts the formation energy at -1216 meV per atom. As for the magnetization: 0.00 μB/cell.

Unit cell a=7.154 b=8.097 c=10.587 alpha=90.00 beta=90.00 gamma=90.00
Atoms (fractional coordinates):
As (0.565, 0.009, 0.828)
As (0.435, 0.991, 0.172)
As (0.084, 0.250, 0.981)
As (0.065, 0.509, 0.672)
As (0.065, 0.991, 0.672)
As (0.565, 0.491, 0.828)
As (0.916, 0.750, 0.019)
As (0.416, 0.250, 0.481)
As (0.935, 0.491, 0.328)
As (0.435, 0.509, 0.172)
As (0.584, 0.750, 0.519)
As (0.935, 0.009, 0.328)
Sc (0.808, 0.448, 0.070)
Sc (0.808, 0.052, 0.070)
Sc (0.349, 0.750, 0.708)
Sc (0.530, 0.750, 0.997)
Sc (0.308, 0.948, 0.430)
Sc (0.192, 0.552, 0.930)
Sc (0.151, 0.750, 0.208)
Sc (0.692, 0.448, 0.570)
Sc (0.308, 0.552, 0.430)
Sc (0.470, 0.250, 0.003)
Sc (0.192, 0.948, 0.930)
Sc (0.970, 0.750, 0.497)
Sc (0.332, 0.250, 0.724)
Sc (0.832, 0.750, 0.776)
Sc (0.168, 0.250, 0.224)
Sc (0.030, 0.250, 0.503)
Sc (0.668, 0.750, 0.276)
Sc (0.651, 0.250, 0.292)
Sc (0.849, 0.250, 0.792)
Sc (0.692, 0.052, 0.570)

***

A PBEsol-optimized structure of MnBeAs. Source: the Alexandria database, functional meta-GGA SCAN.

The calculation puts the formation energy at -2 meV per atom. For the offset from the most stable computed form, the calculation gives 186.8 meV/atom. As for the magnetization: 3.24 μB/cell.

Unit cell a=3.860 b=3.860 c=3.860 alpha=60.00 beta=60.00 gamma=60.00
Last column: magnetic moment on the atom in μB.
Atoms (fractional coordinates):
As (0.000, 0.000, 0.000)  -0.05
Be (0.500, 0.500, 0.500)  -0.02
Mn (0.250, 0.250, 0.250)  3.18

***

A PBEsol-optimized structure of ScIn2P. Source: the Alexandria database, functional meta-GGA SCAN.

The calculation puts the formation energy at -72 meV per atom. As for the magnetization: 0.85 μB/cell.

Unit cell a=3.612 b=3.612 c=8.166 alpha=77.22 beta=77.22 gamma=60.00
Last column: magnetic moment on the atom in μB.
Atoms (fractional coordinates):
Sc (0.000, 0.000, 0.000)  0.44
~~~

So how many parking spaces should I have? Simple. If you have 1-25 spaces, the ADA parking requirement is that you need to have at least 1 accessible space, and that space has to be a van accessible space. When you get up into the thousands of spaces, you need to provide 20 plus 1 for each 100 over 1000.

Where Should I Put my Handicap Accessible Parking Spaces?
According to code, they need to be “on the shortest possible access route to the building entrance.”
Be careful here!
This is one spot where business owners can get tripped up because this rule leaves a lot to interpretation, unlike the other codes. Sometimes the space that is nearest to the entrance is not actually a better access route than a space that is further away, but is an easier access route for the entrance you’re trying to approach.
There are a lot of elements to accessibility. One of them is your parking lot striping, which we’re talking about here, but there are other elements like the grading of the parking lot, the slopes of the accessibility ramps (if there are any) and how your sidewalk and entryway is designed. We aren’t going to cover all of that in this blog post (it’s way too much to cover in one single post), but in future blog posts we’ll talk about the other elements of accessibility. One piece at a time!
A lot of business owners put the spaces right up next to the building. If that’s not possible because of how the building is accessed, then you’ve got to find a spot that can reasonably be seen as the shortest possible access route.
Work really closely with your contractor here, and make sure to get estimates for different configurations of the accessibility routes, handicap parking spaces and sidewalk and entryway design. If you’re spending the money, you’re going to want the best solution possible for both your bottom line and for your customers!
The good news is that this is the only part of the code that has language that can be interpreted in different ways. The rest of the code is practically mathematical.
And how big should my Handicap Accessible Parking Spaces and Access Aisles be?
According to the Minnesota Accessibility Codes for parking lots, the minimum width for an ADA parking space for both vans and cars is 96 inches. The code does not specify the minimum length of an ADA parking space, so just follow the state or local codes for parking spaces in general for that guideline.
Here’s a helpful diagram which shows both car and van accessible spaces:

As for Access Aisles, those need to match the full length of the space and also a minimum of 96 inches in width.

If you’ve done more research here, you might already know that the Federal code on this is different. Which one takes precedence? Here’s the tip: follow the stricter code. So if the Federal Code says a smaller access aisle is OK but the Minnesota Code requires a larger one, you need to follow the Minnesota Code.
Also, another good guide is to think about what your customer in this situation would prefer. If you had mobility issues or had to use a wheelchair to get around, would you prefer a larger or smaller access aisle? Pretty simple. Your customers aren’t asking for anything outrageous; they just want to be able to get to your business.
Removing barriers and increasing access: that’s how you know you’re meeting the standards for accessible design!
What Signs do I Need to be ADA Compliant?
There are rules for signage too. Again, there’s good news here in that the rules are cut and dry, and specific.
You need to have a minimum 12″x18″ sign mounted at the center of each handicap accessible space, the bottom of the sign has to be at least 60 inches but at most 66 inches from the parking surface. The signage language is uniform. I think we’ve all seen signs like this:

The sign has to have all those elements on there, per the Minnesota Accessibility Code. You can buy the signs on different websites, but it has to have these elements specifically on it! We’ll put those three elements right down here so you know what to look for. Remember, this is for Minnesota Accessibility Code, not the Federal Code. So if you’re in another state, check your own state’s accessibility guidelines for specifics. We mostly do our work in the Twin Cities, so we look for three elements on our parking signs.
- International Symbol of Accessibility
- Violation results in an up to $200 fine.
You also should have a sign that says “VAN ACCESSIBLE” for at least 1 in every 6 accessible spaces. While the Minnesota Code does not require it, the Federal Code does. It’s a good idea to always follow the stricter guideline (as we mentioned before), that way you’ve got all your bases covered. Just make sure to have a van parking space for 1 in 6 spaces at least.
The signage rules are simple because they are black and white (or blue and white), with very little being left to interpretation.
In another article in the future, we’ll be looking at ADA standards for accessible entrances, sidewalks, ramps, grading and we will even look at handrails!